Posted 3 years ago in Then and Now
3 MIN READ - Ever wonder what your commute would be like if you took a different rail line? Venture outside your daily commute and virtually "ride the rails" with the CTA. While you're at it, read up on the history of one of the greatest public transit system's in the country!
When Chicago officials were considering building a rail system, elevated tracks appeared to be the right choice, as subways were too expensive. And so the first 'L' train (then Chicago and South Side Rapid Transit Railroad) was built in 1892, and its inaugural journey took place on June 6, spanning 3.6 miles in 14 minutes.
At that point, the ‘L’ was just an ordinary steam powered train on raised tracks. That changed quickly with the invention of the third-rail electrical power system at the 1893 World’s Columbian Exposition in Jackson Park. The electric-powered train designed to transport guests around the fair was, remarkably, the first instance of the very same technology used on the Chicago 'L' today and around the world.
With the advent of this third-rail electric technology, the potential stock of the 'L' skyrocketed, and the second and third ‘L’ trains – Lake Street Elevated and Metropolitan West Side Elevated – were quickly constructed in 1893 and ’95. Despite this rapid expansion, however, the ‘L’ had yet to serve the central business district, due to regulations requiring a majority of owners’ permission to build downtown.
Enter magnate Charles Tyson Yerkes. Yerkes believed that the ‘L’ was destined to extend downtown, and eventually decided that he would be the man to do it. Sure enough, through clever financial maneuvering, Yerkes was able to earn a majority approval and construct much of the Union Loop by 1897. A few years later, service to the fourth ‘L’ – Northwestern Elevated – was connected to the Loop, and by 1921 amid multiple connections and extensions in all directions the ‘L’ assumed a shape much like that of the ‘L’ today.

Chicago was the fastest-growing city in the country during the late 19th century, and as downtown became increasingly congested with horses, carts and carriages, people began to realize they needed a more efficient means of transportation.

• Crystal structures, as found in the file:
Entry 1:
# Ge
Theoretical powder diffractogram, Cu Kα, 1.54184 Å. Input: a PBE-relaxed structure.
No peak broadening, texture or thermal motion is included.

Cell and atoms:
```
Ge
1.0
4.0500 0.0000 0.0000
-2.0250 3.5074 0.0000
0.0000 0.0000 6.6840
Ge
4
direct
0.3333 0.6667 0.0629
0.3333 0.6667 0.4371
0.6667 0.3333 0.5629
0.6667 0.3333 0.9371
```

Principal peaks in the range 2θ from 15° to 90°, by intensity:
25.39°, I = 100
48.40°, I = 88
44.75°, I = 86
28.74°, I = 65
26.67°, I = 58
52.86°, I = 51
37.16°, I = 36
85.17°, I = 33
68.03°, I = 31
76.22°, I = 22
82.51°, I = 14
52.16°, I = 14

***

Entry 2:
# EuMgRe2O8
Theoretical powder diffractogram, Cu Kα, 1.54184 Å. Input: a PBE-relaxed structure.
No peak broadening, texture or thermal motion is included.

Cell and atoms:
```
EuMgRe2O8
1.0
5.9717 0.0000 0.0000
-2.9859 5.1717 0.0000
0.0000 0.0000 6.3402
Eu Mg Re O
1 1 2 8
direct
0.0000 0.0000 0.0000
0.0000 0.0000 0.5000
0.3333 0.6667 0.3602
0.6667 0.3333 0.6398
0.1622 0.3245 0.2817
0.1622 0.8378 0.2817
0.3245 0.1622 0.7183
0.3333 0.6667 0.6364
0.6667 0.3333 0.3636
0.6755 0.8378 0.2817
0.8378 0.1622 0.7183
0.8378 0.6755 0.7183
```

Principal peaks in the range 2θ from 15° to 90°, by intensity:
22.18°, I = 100
29.93°, I = 57
33.15°, I = 41
53.11°, I = 28
48.75°, I = 26
55.21°, I = 19
37.56°, I = 19
45.25°, I = 16
66.87°, I = 11
62.18°, I = 10
77.53°, I = 10
61.16°, I = 9

***

Entry 3:
# Cs2LiPdF6
Theoretical powder diffractogram, Cu Kα, 1.54184 Å. Input: a PBE-relaxed structure.
No peak broadening, texture or thermal motion is included.

Cell and atoms:
```
Cs2LiPdF6
1.0
0.0000 4.3709 4.3709
4.3709 0.0000 4.3709
4.3709 4.3709 0.0000
Cs Li Pd F
2 1 1 6
direct
0.2500 0.2500 0.2500
0.7500 0.7500 0.7500
0.0000 0.0000 0.0000
0.5000 0.5000 0.5000
0.2606 0.2606 0.7394
0.2606 0.7394 0.2606
0.2606 0.7394 0.7394
0.7394 0.2606 0.2606
0.7394 0.2606 0.7394
0.7394 0.7394 0.2606
```

Principal peaks in the range 2θ from 15° to 90°, by intensity:
28.89°, I = 100
51.19°, I = 41
41.31°, I = 40
17.57°, I = 25
59.85°, I = 25
35.58°, I = 24
82.59°, I = 22
67.80°, I = 18
34.01°, I = 12
20.32°, I = 11
75.32°, I = 8
71.60°, I = 7
Since the 1920's, the ‘L’ has undergone significant changes and expansions, including the State and Dearborn subway connections in the 30’s and 40’s, the creation of the Chicago Transit Authority (CTA) in 1945, construction on the Dan Ryan and Congress Expressway medians, retirement of wooden cars and creation of air-conditioned cars, the extension to O’Hare and Midway airports, and the discontinuation of on-board conductors, among many others.
Now, before the COVID-19 pandemic impacted ridership, the eight lines of the Chicago ‘L’ span 224.1 miles and serve on average 620,471 people per weekday, with 63,339 of those boardings in the Loop alone.

The elevated tracks, voted one of the seven wonders of Chicago by Tribune readers in 2005, have become a Chicago icon with worldwide recognition, with the downtown Loop at the center of it all.
A recent documentary "Chicago by 'L'" featuring Geoffrey Baer on WTTW, underscores the beauty and interconnectivity of the public transit lines of Chicago.
Projects like the Red Line Extension Project to the underserved South Side of Chicago, often raise some degree of controversy with the public. But controversy has followed the 'L' throughout its history. In 1897, the New York Academy of Medicine warned that the noise and disturbance from elevated tracks “prevented the normal development of children” among other dangers, and throughout its construction police and community leaders spoke against it for its potential to collapse or electrocute passengers.*
Most of the public concerns today are far better grounded in reality. Still, as it was in the 1890's, it's hard to say just what the future of the ‘L’ really is. Possibilities include Orange and Yellow line extensions, and an additional line to the currently 'L'-less southeastern part of the city.
If one thing’s for sure, though, the Chicago ‘L’ – noisy, wonderful, iconic, colorful, innovative, convenient or inconvenient – isn’t going away anytime soon.
*For more information, see: Borzo, Greg. The Chicago "L." Arcadia Publishing: Chicago, IL (2007). Print.